By Chlotrudis Independent Film Society
Rating: 5 cats
Director: Gavin Hood
Starring: Aaron Paul | Aisha Takow | Alan Rickman | Armaan Haggio | Barkhad Abdi | Helen Mirren | Phoebe Fox

Country: united_kingdom
Year: 2016
Running time: 102
Jason says: “What one often reads about Unmanned Aerial Vehicle strikes may lead such a person to believe that the way concern about collateral damage drives EYE IN THE SKY marks it as a fantasy, as does the stark, immediate decision that it presents those running such operations. On the other hand, presenting it that way certainly puts the issues that the filmmakers want the audience to consider in sharp relief, and also adds enough drama to the mix that the film is also a fantastic thriller despite it often being built on what might be described as frenzied inactivity.
“The situation is this: A joint effort between Kenya, the United Kingdom, and the United States expects radicals from all three to
converge in Nairobi today. UK Colonel Katherine Powell (Helen Mirren) is in operational command in London, with the goal of the mission being for Kenyan intelligence officers to capture the terrorists so that they can stand trial. The UAV piloted by Steve Watts (Aaron Paul) and Carrie Gershon (Phoebe Fox) from a US Air Force Base in Nevada is meant to provide surveillance so that a different unit in Hawaii can use facial recognition to confirm targets. It’s never that easy, though – the suspects decamp for a less secure location before being positively identified, and while new intelligence may suggest good reason to escalate the rules of engagement from ‘capture’ to ‘kill’, few of the British politicians overseeing the mission alongside Lt. General Frank Benson (Alan Rickman) are prepared to do so – especially since the collateral damage will almost certainly include an innocent little girl (Aisha Takow) selling her mother’s fresh-baked bread right next to the terrorists’ urban compound.
“The screenplay by Guy Hibbert presents a situation that, while not ideal, is ideally dramatic, presenting the decision-makers with moral dilemmas made all more keen by the fact that both their intelligence and weaponry is rather precise, likely far more so than it ever is in the real world. That dramatic license brings the main theme – that being able to operate on a more granular level presents one with more specific, less abstracted, consequences – into sharp focus. Intriguingly, this works because of something that often seems like a cheap trick in the movies: A few scenes showing Alia early on get the audience to care about her more than the anonymous people around her, and the same thing happens with Watts and Gershon, who spotted Alia playing with a hula hoop earlier. Certainly, many of those involved would have qualms about random civilians, but this exploits a very familiar piece of human psychology to bring the issue into sharp relief.
“With this being the case, it’s especially incumbent upon those seeking to push ahead with the mission to come across as having a reasonable point of view, as opposed to being complete monsters. The film provides humanizing moments for the commanders early on – we see Powell tending to her dog during a sleepless night and a befuddled Benson trying to buy a doll for his granddaughter – but it mostly falls upon the actors to strike exactly the right tone. Helen Mirren is terrific as Powell; she is decidedly the most aggressive of the military personality but manages to give just enough weight to her brief comments about how long she’s been pursuing one of the targets that some of her more ethically questionable actions read as straddling a moral line rather than ignoring it. It’s a performance that looks simple on its face, but if she falters just a little bit, this becomes a film about how she’s the real villain. Alan Rickman goes a slightly different direction in what wound up being his final live-action film role, showing Benson’s sympathies being with Powell but expressing it as a drier sorry of impatience. Rickman’s withering delivery doesn’t quite make the one man in the room advocating an assassination into the one reasonable person in the room surrounded by cowardly idiots, but his leaning in that direction gives a hint of the more satirical bent that the film could have taken.
**Here the entry breaks off for materials data**
'''
one.
VASP calculation (PBE-GGA) on an optimized crystal structure of Ce3S.

The structure in POSCAR format:
```
Ce3S
1.0
-1.7998 4.6001 2.9615
1.7998 -4.6001 2.9615
1.7998 4.6001 -2.9615
Ce S
3 1
Cartesian
0.0000 0.0000 0.0000
1.7998 2.7974 -0.7633
0.0000 1.8027 2.1982
0.0000 4.6001 0.7805
```

two.
VASP calculation (PBE-GGA) on an optimized crystal structure of Ce3S.

The structure in POSCAR format:
```
Ce3S
1.0
4.0645 0.0000 0.0000
0.0000 4.0645 0.0000
0.0000 0.0000 5.5357
Ce S
3 1
Cartesian
0.0000 0.0000 0.0000
0.0000 2.0322 2.3064
2.0322 0.0000 3.2294
2.0322 2.0322 0.0000
```

It is two that is the least stable of them.

one.
VASP calculation (PBE-GGA) on an optimized crystal structure of Ce2SbS5.

The structure in POSCAR format:
```
Ce2SbS5
1.0
2.7070 -6.7244 0.0000
2.7070 6.7244 0.0000
0.0000 0.0000 13.3537
Ce Sb S
4 2 10
Cartesian
2.7070 4.7480 7.5377
2.7070 4.7480 12.4928
2.7070 -4.7480 0.8609
2.7070 -4.7480 5.8160
2.7070 4.2180 3.3384
2.7070 -4.2180 10.0153
2.7070 6.0579 1.5559
2.7070 6.0579 5.1210
2.7070 3.2916 10.0153
2.7070 2.5698 0.9203
2.7070 2.5698 5.7566
2.7070 -2.5698 7.5971
2.7070 -2.5698 12.4334
2.7070 -3.2916 3.3384
2.7070 -6.0579 8.2327
2.7070 -6.0579 11.7978
```

two.
VASP calculation (PBE-GGA) on an optimized crystal structure of Ce2SbS5.

The structure in POSCAR format:
```
Ce2SbS5
1.0
7.7343 0.0000 0.0000
0.0000 11.6352 0.0000
0.0000 0.0000 3.9919
Ce Sb S
4 2 10
Cartesian
0.2533 2.0347 0.0000
3.6139 7.8523 0.0000
4.1204 3.7828 0.0000
7.4810 9.6004 0.0000
0.0000 5.8176 1.9960
3.8672 0.0000 1.9960
0.0000 0.0000 1.9960
1.3498 4.6549 0.0000
1.3577 8.1519 1.9960
2.5094 2.3343 1.9960
2.5174 10.4725 0.0000
3.8672 5.8176 1.9960
5.2169 1.1626 0.0000
5.2249 9.3008 1.9960
6.3766 3.4832 1.9960
6.3846 6.9802 0.0000
```

It is one that is the least stable of them.

one.
VASP calculation (PBE-GGA) on an optimized crystal structure of Ce2SbS.

The structure in POSCAR format:
```
Ce2SbS
1.0
2.0709 1.1956 7.6073
-2.0709 1.1956 7.6073
0.0000 -2.3912 7.6073
Ce Sb S
2 1 1
Cartesian
0.0000 0.0000 0.0000
0.0000 0.0000 3.6003
0.0000 0.0000 13.2319
0.0000 0.0000 9.3627
```

two.
VASP calculation (PBE-GGA) on an optimized crystal structure of Ce2SbS.

The structure in POSCAR format:
```
Ce2SbS
1.0
1.9509 -7.2816 0.0000
1.9509 7.2816 0.0000
0.0000 0.0000 7.4583
Ce Sb S
4 2 2
Cartesian
1.9509 5.4051 3.8763
1.9509 5.4051 7.3111
1.9509 -5.4051 0.1472
1.9509 -5.4051 3.5820
1.9509 0.2526 5.5937
1.9509 -0.2526 1.8646
1.9509 3.3617 1.8646
1.9509 -3.3617 5.5937
```

three.
VASP calculation (PBE-GGA) on an optimized crystal structure of Ce2SbS.

The structure in POSCAR format:
```
Ce2SbS
1.0
2.1173 1.2224 7.0145
-2.1173 1.2224 7.0145
0.0000 -2.4448 7.0145
Ce Sb S
2 1 1
Cartesian
0.0000 0.0000 5.0461
0.0000 0.0000 15.9975
0.0000 0.0000 0.0000
0.0000 0.0000 10.5218
```

It is two that is the least stable of them.

one.
VASP calculation (PBE-GGA) on an optimized crystal structure of CeScS.

The structure in POSCAR format:
```
CeScS
1.0
3.9342 0.0000 0.0000
'''
“Someone other than director Gavin Hood might have played EYE IN THE SKY as black comedy, but he opts to just take half-steps in that direction as much of the film involves politicians (and those in the military who are not traditional soldiers) selling permission that they do not actually want to be given. Hibbert and Hood send the story into odd places but most laughs they get will come more from discomfort than amusement. There’s an intriguing sort of stratification of opinions that’s not a simple function of whether someone is pulling a trigger or setting policy but logical all the same, and quiet but pointed notes of the differences between American and British policy. Hood and editor Megan Gill also do a fine job of keeping whatever is most important at a given point on the front burner without feeling like they’re neglecting anything.
“Perhaps they could be seen as neglecting the targets’ perspectives; they’re not quite faceless (one could argue that they are nothing but faces to be fed into recognition software), but they’re pointedly voiceless; even when we get in close, it’s via tiny robotic cameras not wired for sound. The film still manages to cast them as villains versus the antagonists fueling the main conflict – note how Alia’s father (Armaan Haggio) warns her to put away both types and textbooks when their neighbors visit – which leads to some cracking tension on the ground beyond the ethical debate happening elsewhere. Barkhad Abdi shows that his work in CAPTAIN PHILLIPS was not a fluke of a non-actor in the right role, playing the Kenyan cop who goes from getting close enough to do the actual surveillance to trying to get Alia out of the line of fire with understated capability that nevertheless gets across just how difficult this part of the mission is.
“The balance between those elements allows EYE IN THE SKY to have the characteristics of both a great play and a smart action movie: It jumps from location to location around a world that modern communications has made seem absurdly small to facilitate a discussion about ethics in a tightly-bound situation but still has plenty of room for visceral thrills that empathize the life-or-death nature of the argument (and it is an argument in the most civil sense of the word; viewers with differing opinions should all find something worthwhile to ponder here). That makes for a terrific, tense movie, well worth seeking out even if it’s not playing on the same huge screens as the less-thoughtful military thrillers. 5 cats
“Screened in Angelika Film Cafe Plano #3 (first-run, DCP).”